~After breaking up with someone whom I had dearly loved, it felt like a death, as is the natural progress of grief. I thought...someday I will truly die, and what would I like that to look like? While I cannot predict the day or hour, I can certainly have a vision of that and make strides towards making the vision a reality. We humans are so short sighted and we lose sight of the goal, getting lost in the demands of society and fair-weather friends. If you could paint a picture of what your death bed moments would look like, your last days, what would that look like? Are your actions today setting you up for that reality? Are you bankrupting your future dreams because you think the journey to them ought to look a certain way, or you are trying to satisfy the demands of those who are not in line with your dreams? It is difficult and constant to slough off the debris the world sheds on us, and dares to bog us down in the superficial, the fleeting, the meaningless. ~
This is what giving up looks like. A warm blanket covered a frail body, so worn by living that the slightest chill could easily take it. Pillows made of dreamy clouds, just the way I like it. They make me feel as though I am sleeping in Heaven; a temporary sleep, unlike the slumber that awaits this flesh and bones. The hum of happy voices downstairs, happy to see each other. My children, their spouses, and their children's children are throughout the house, their chatter harmonizing with the awakening world, a song too beautiful for words. Birds begin their morning call outside the window, streaming beams of bright joy, warming my face, making me feel as alive as I have ever been. The lattice frames the window for the brilliant purple of the morning glories to peek in. The brilliance of it all is overwhelming, a sweet pang in my chest reminds me of the love cultivated for decades that never diminished but grew exponentially. The more I gave, the more it multiplied; a heavenly formula that defies human logic.
Warm tears ease their way down now hollowed cheeks, creased with lines of joy. This sweet release of giving up has rewarded me with an abundance I never fathomed possible. I close my eyes and allow life to wash over me. The days of self were many, a whole third of my life spent trapped in my own ego. A pain pricks me with the memory of it. A single mom, tormented by the destruction of what she believed was her only hope for a fulfilled life, a happy ending. I was so silly, so dramatic. How much goodness did I miss, wrapped in a cloak of unwillingness to see the free flowing abundance before me? It wasn’t anger, it was sadness fostered by narrowmindedness, an insecurity that said there would be no other hope for happiness.
I had loved again. If I hadn’t loved him, perhaps I would have lost more life, unaware that my heart was capable of loving again. His stubborn ways and inexplicable fears kept us from being together, living a life of love and second chances out. Lord, how I prayed his heart would change, that as certain of him that I was, he would have found equal certainty of me. His ego hindered his love for me from being fully expressed. His ego kept us from living our days out together, but the realization of this saved me from perpetuating my own captivity to self. More tears stream down as I recall the embrace of his strong arms, the perfection found when we were together was the union of two puzzle pieces that had been joined. I pity him, thinking that perhaps one day he realized what he had lost, and he finally grieved as I had. It brought me no joy to think of him living in his own torment; love isn’t like that and love is all that I have for him to this day.
Through his stubbornness, I saw my own. Like a flashing light, through tears and prayers begging a softening of his heart, I saw my unwillingness to accept any other end but the one that I had painted with him. It was as if God saw my grief and longing and in his divine omnipotence, he told me to change. He told me to shed my preconceived notions, my small minded dreams, my stubborn death clutch on what I believed was the only way to a fulfilled life. A trickle of tears became a flood, as with new eyes I saw my own grip on a story that I had written before consulting the characters. I wanted to love so fiercely that I was blinded to the possibilities of other loves, other plots and endings. I loved stubbornly, not in a noble sense, but in a desperate clinging to what appeared to be my last chance at love, and unwillingness to think that my heart could love more than I gave it credit for. I was an orphan terrified to lose the little she had. My ego got in the way and made me blinded, so I could see no other way.
I have loved him all these years. When my thoughts wandered, I would continue to feel his embrace and the gentle kisses on my forehead. I gave up on what I wanted to be our story. I gave up on hoping he would shed his ego and pride, and I shed my own. It has made all the difference. This, as I hear children laughing with their parents, in my home, this is what giving up looks like. I gave up on my ego, my preconceived notions, my insecurities, my fears; I gave up on them. At times, I tried to pick them back up again, but a voice grew louder over the years, a voice of assurance and abundance and the temptation to pick up my pride again became less and less.
Yes, those sweet memories of pain and confusion, they are sweet. The memory of them makes the realities of today all the more precious. I know what it means to lose and grieve because life can sometimes be cruel, but I learned to never lose and grieve because of my own pride, ever again.
____________
# 1
Entry from the OMol25 dataset: one molecule with the formula C11H16 at a distorted geometry (the ωB97M-V functional and the def2-TZVPD basis).

Results
**HOMO-LUMO gap**: 8.8 eV
**Largest force on an atom**: 4.688 eV Å⁻¹
**LUMO**: 0.0324 hartree
**Molecular weight**: 148.25 g/mol
**SMILES**: CC1=C=C2C[C@@]2(C)[C@H](C)[C@H]1C
**Calculated total energy**: -428.53149 a.u.
**Energy relative to the best compared isomer or geometry (same formula, charge and spin)**: 3.8941 eV

Structure (ORCA input):
```
! RIJCOSX wB97M-V def2-TZVPD def2/J DEFGRID3
* xyz 0 1
C 0.556 1.566 2.437
C 0.758 0.569 1.336
C 1.659 0.645 0.408
C 1.621 0.142 -0.790
C 1.446 -0.963 -1.771
C 0.273 -0.039 -1.424
C -0.228 0.868 -2.530
C -0.815 -0.477 -0.315
C -1.960 0.599 -0.378
C -0.126 -0.628 1.122
C 0.540 -1.899 1.425
H 1.427 2.368 2.482
H 0.490 1.043 3.385
H -0.517 1.893 2.457
H 1.878 -0.971 -2.747
H 1.228 -1.887 -1.190
H 0.374 0.809 -3.411
H -0.254 1.780 -2.135
H -1.233 0.564 -2.804
H -1.265 -1.373 -0.584
H -1.725 1.608 -0.081
H -2.793 0.224 0.252
H -2.365 0.622 -1.377
H -1.011 -0.363 1.796
H 1.437 -2.022 0.981
H -0.107 -2.753 1.038
H 0.710 -1.925 2.420
*
```



# 2
Entry from the OMol25 dataset: C11H16AlBBr2F4N2O5 as an isolated structure at a distorted geometry (the ωB97M-V functional and the def2-TZVPD basis).

Results
**HOMO-LUMO gap**: 2.1 eV
**Largest force on an atom**: 1.962 eV Å⁻¹
**LUMO**: -0.4783 hartree
**Molecular weight**: 529.85 g/mol
**Calculated total energy**: -6728.49306 a.u.

Structure (ORCA input):
```
! RIJCOSX wB97M-V def2-TZVPD def2/J DEFGRID3
* xyz 2 1
C -2.955 -2.324 -1.980
C -1.695 -2.074 -2.798
Br -2.198 -2.219 -4.652
C -0.998 -0.749 -2.411
Br 0.140 -0.074 -3.787
C -0.205 -0.889 -1.139
C -0.473 -0.244 -0.009
C 0.435 -0.499 1.162
O 0.796 0.398 1.861
C 0.915 -1.883 1.302
C 1.190 -2.542 0.177
O 1.663 -3.797 0.067
C 1.006 -1.795 -1.125
O 1.766 -1.860 -2.038
H -2.900 -1.906 -0.979
H -3.027 -3.406 -1.831
H -3.835 -1.934 -2.493
H -0.994 -2.874 -2.589
H -1.768 -0.010 -2.214
H -1.293 0.450 0.110
H 1.049 -2.324 2.277
H 1.005 -4.449 0.338
Al -4.193 -3.974 -3.305
C 5.189 -0.218 -1.038
O 4.819 -1.232 -1.938
H 6.038 0.308 -1.457
H 4.359 0.494 -0.883
H 5.459 -0.640 -0.058
H 4.065 -1.718 -1.582
C -2.600 2.924 1.703
O -2.098 2.420 0.681
N -3.908 3.105 1.922
N -1.699 3.305 2.651
H -4.275 3.525 2.759
H -4.550 2.833 1.199
H -0.710 3.142 2.442
H -1.929 3.743 3.536
B 1.709 3.806 3.229
F 1.700 5.162 2.958
F 0.695 3.505 4.161
F 1.375 3.096 2.043
F 2.932 3.421 3.728
*
```



# 3
Entry from the OMol25 dataset: C11H16Cl3InNO2P as an isolated structure at a distorted geometry (the ωB97M-V functional and the def2-TZVPD basis).

Results
**HOMO-LUMO gap**: 6.2 eV
**Largest force on an atom**: 11.125 eV Å⁻¹
**LUMO**: -0.3420 hartree
**Molecular weight**: 446.40 g/mol
**Calculated total energy**: -2545.45616 a.u.
**Energy relative to the best compared isomer or geometry (same formula, charge and spin)**: 0.0000 eV

Structure (ORCA input):
```
____________
A breath in and I return to the present, the smell of coffee and crisping bacon wafts through my door. The simple delights. How many times have I taken them for granted? Never mind that now, it is here now and oh is it great!
A soft knock at the door, and a tender voice calls in, asking if I have woken. “Yes, dear. Please come in!” A turn of the door handle and big blue eyes peer in at me, with a mischievous smile. “Good morning, Great Grandma!” Lilly bounds in with a big presence and lands like a feather at my side, quickly wrapped in my arms. Her parents warn her to be gentle with me, but I don’t mind the intense grip she uses with me, it’s as if the love she has for me can only be expressed through the full might of her eight years of age. Wiggles and giggles, more heavenly than any gift I could have hoped for. My heart aches with the intensity of love fulfilled.
The wiggling stops, and a delicate hand reaches to push a wisp of hair from my forehead. “Great Grandma, do you know that you are the most beautiful old lady that I have ever seen?” Lilly says with the sincerity that can only come from a dear child. “Oh, darling! That is the sweetest thing you could have said to me this morning!” A squeeze and a kiss to her forehead, and she is delighted in our exchange.
“Grandma, I have been thinking a lot about you dying. I don’t like it at all, but mom and dad say you will be in a better place and that you will have no more pain or sadness. I don’t want to keep that from you, but I will be awfully sad. Why can’t you maybe just visit Heaven but stay with us? Are you sad?”
“Oh, sweet child, aren’t you the most thoughtful creature there is!” I kiss her forehead and collect my thoughts to answer her. “Lilly, I am not sad. No. How could I be sad, with you lying here next to me? You and everyone that has filled this house over the years, are a treasure to me; a treasure that I didn’t earn, but I cherish nonetheless. I suppose that the only sadness I could feel, is the sadness over leaving you. I know that your heart is good, and that you will do great things, and it does make me sad to think of not being able to kiss you and encourage you. But that is simply because I am not there yet. So often, our sadness is borrowed from tomorrow, that we forget to live today. So darling, I try very hard to not let the sadness of tomorrow rob me of the sweetness of today. My body is in pain, oh, but it is a small price for being here one more day, hearing the laughter of my loved ones, witnessing God’s goodness in your heart. I get to see how his paintbrush has painted something stunning in the lives of those that I love. I believe there will be a day when I feel no more physical pain. It will be like when you go to camp with all of your friends. You love them don’t you?”
Lilly nods, unsure of how my dying and camp could possibly compare.
“Darling, you love your friends at camp, and are excited to go see them, but that doesn’t mean you love your mom and dad any less. Isn’t that right? You are happy to come home and see them, because you love them too. But what if you didn’t love your friends or your parents? Wouldn’t it be so much easier to leave them?”
“Oh yes, Grandma. If I didn’t love them, I guess that I would be happy to leave them.”
“That seems likely. So you see, without love, there is no pain. Even when my body hurts, it only bothers me, because I love my body and the life it has given me. Death only hurts, because we love. I love you and do hate to leave you, but I love God and am eager to see him and all my dear friends who are already there. I don’t want to leave you, but it is necessary, and there is good in it. The times you spend cuddling with me, you will now have that time to give to someone else. Choose wisely. Fill those times with another who will love you and you can love in return, and before long, you will find that the pain of missing me is not as great, because you have another gift to cherish.
“But Grandma, I don’t want to cuddle with anyone else. I don’t care if I could love them too. I love you now and don’t want to love anyone else or love you less.” Tears streamed down her face, looking at me with the sincerity and boldness of sharing one’s heart openly. She doesn’t know the courage it took for her to speak so freely, because she was granted a legacy of boldness, generations of family, striving to be bold and consistently sincere. I admire my great grandbaby.
As if a balloon had been placed within my chest and blown to capacity, the overwhelming love, anticipated grief, and sadness that someday I will not be able to wipe the tears from this precious face, cause me to pause. “Oh Lilly, you are precious, beyond words. Do you know I have had those very thoughts and words come from my mouth many times?”
“What do you mean, Grandma? Did you lose your great Grandma too?”
“Oh no, sweetie. I never met any of my great grandparents, they had all passed away long before I was born. Love is one of those things, that it doesn’t matter so much who you love, but that you love that person. And when you love, it always hurts to say goodbye. I have said goodbye many times. Sometimes because of death, and sometimes, simply because that part of my life was ending.”
“What did you do?”
“I cried, a lot. When I was your age, I was afraid to cry. I have learned that crying is good, it releases the pressure building up inside. It is like your heart’s way of kissing your face and comforting you.” She looked perplexed. “I was afraid to cry, I thought it made me weak or would upset others. Of all things, when I was pregnant with your Grandma Mackenzie, I couldn’t control it anymore. I remember being at a movie and seeing something beautiful and I cried. I thought tears were only for sadness, but there they were! My sister had just died and I had been sad a lot, but then something made me happy and my heart poured out of my eyes and kissed my face, just like yours is now. I had to start seeing pain as a gift, my love. If I hadn’t loved my sister, I wouldn’t have had pain in saying goodbye. It reminded me that I had loved and been loved in return, and that is all anyone can hope for.”
“Honey, you will say goodbye many times in your life as well. And no future love will seem worthy of a present love. I promise you, your heart will be light again someday. Not because you stopped loving me, but because you learned to love me, and that helped you to learn to love others. Your heart will overflow. There will come moments when you will ache for me, and when they come, I want you to imagine my arms around you like they are right now. I want you to allow yourself to cry and speak to me if you would like. And never ever be upset with yourself for this. Remember me, like you see me today. Someday you will be comforting another. See my life, it has had many heartaches, but it has had many joys. And here I am, at the end of this beautiful life, holding one of my joys. How can I be sad of the heartaches, when I have your heavenly blue eyes to gaze into?”
“It’s like a story, Great Grandma. On some pages happy things happen and other pages, sad things happen.”
“Yes, sweetheart, you are absolutely right. It is a story! It is my story, and your story. We each have one. What do you do when you are on a page and something sad happens?”
“Well, I sometimes stay there awhile. I don’t like it, and I don’t want to know if another bad thing happens. I will turn the page eventually.”
“Lilly, this is your story. If you need to stay on a page for a while, that is okay. The only thing that I ask is that you don’t stay on that page forever. When you are ready, turn the page and see what good things are in store.”
Lilly nestled in closer than humanly possible, her young soul soaking into my aged soul. She was quiet for a while and I allowed the reality to wash over me. I may never hold this sweet child again, while there is breath in my lungs. The sunlight poured in across our faces and I said a prayer, that she would find comfort in my words throughout her life. I have lived a long life. I have seen children grow, grandbabies, and great grandbabies born. Life has been rich, and while I have peace, a dull ache throbs within, of not being there to comfort and encourage those I love most.
A rustling at the door causes Lilly to look up at me and smile, once the twins giggle, we know that an ambush is about to take place. She is the eldest great grandchild and much sought after by the younger ones. Lilly ducks under my blanket just in time for the door to swing open and two little brunettes to come bounding in. “Where’s Lilly?” They say in unison. Lilly giggles against my chest and gives herself up. She pops out from under the blanket, “you found me! How did you find me?!” She says, goading them on.
“We tracked you!” says Corinne.
“Mhmm, yeah. We did. We walked around very quiet and checked each room we thought you might be in.” Betsy is delighted in her discovery and bravery throughout the course of the hunt.
Without hesitation the twins clumsily navigated the lumps under the covers and found themselves highly amused in the journey, pushing Lilly out of the way to find themselves nestled under each arm. Lilly good humoredly wraps her arms around Corinne and myself as I pull in Betsy. They chatter about the day. Their excitement of the days ahead gives me strength. My family has brought everyone dear to me, near to me. The end is inevitable, and what greater honor than to spend it with these treasures. Lilly and Betsy giggle at Corinne’s attempt to impersonate their serious Aunt Sue. I never knew that one could be so rich. Thank you, Lord. I whisper in my heart.